## Entries
=====
1) A relaxed RbMg14Co crystal. Source: the Materials Project, functional PBE.

Values from the calculation:
Calculated density   2.12 g/cm3
Crystal system   orthorhombic

Cell: 10.3961 6.5444 6.5444 Å, 58.70 90.00 90.00°
Atoms (fractional coordinates):
Rb1 0.0000 0.0000 0.0000
Mg1 0.0000 0.0088 0.4919
Mg2 0.0000 0.4919 0.0088
Mg3 0.2208 0.6287 0.6287
Mg4 0.2546 0.1489 0.6264
Mg5 0.2546 0.6264 0.1489
Mg6 0.2727 0.1453 0.1453
Mg7 0.5000 0.4761 0.4761
Mg8 0.5000 0.4815 0.9701
Mg9 0.5000 0.9701 0.4815
Mg10 0.5000 0.9713 0.9713
Mg11 0.7273 0.1453 0.1453
Mg12 0.7454 0.1489 0.6264
Mg13 0.7454 0.6264 0.1489
Mg14 0.7792 0.6287 0.6287
Co1 0.0000 0.4408 0.4408

=====

2) A relaxed RbMg14Co crystal. Source: the Materials Project, functional PBE.

Values from the calculation:
Calculated density   2.13 g/cm3
Crystal system   hexagonal

Cell: 6.3921 6.3921 10.6848 Å, 90.00 90.00 120.00°
Atoms (fractional coordinates):
Rb1 0.0000 0.0000 0.0000
Mg1 0.0065 0.5033 0.0000
Mg2 0.1627 0.3254 0.2839
Mg3 0.1627 0.3254 0.7161
Mg4 0.1627 0.8373 0.2839
Mg5 0.1627 0.8373 0.7161
Mg6 0.4967 0.5033 0.0000
Mg7 0.4967 0.9935 0.0000
Mg8 0.5056 0.0112 0.5000
Mg9 0.5056 0.4944 0.5000
Mg10 0.6667 0.3333 0.2397
Mg11 0.6667 0.3333 0.7603
Mg12 0.6746 0.8373 0.2839
Mg13 0.6746 0.8373 0.7161
Mg14 0.9888 0.4944 0.5000
Co1 0.0000 0.0000 0.5000

=====

1) comes first in stability; the runner-up is 14 meV/atom higher.

=====

1) A relaxed MgCo2S4 crystal. Source: the Materials Project, functional PBE.

Values from the calculation:
Calculated density   3.89 g/cm3
Crystal system   orthorhombic

Cell: 6.8802 6.8802 6.8802 Å, 120.19 119.50 90.26°
Atoms (fractional coordinates):
Mg1 0.5000 0.0000 0.0000
Mg2 0.5000 0.5000 0.5000
Co1 0.0000 0.0000 0.0000
Co2 0.1269 0.3769 0.7500
Co3 0.5000 0.0000 0.5000
Co4 0.8731 0.6231 0.2500
S1 0.2265 0.2356 0.9909
S2 0.2416 0.2165 0.4749
S3 0.2416 0.7667 0.0251
S4 0.2553 0.7644 0.4909
S5 0.7447 0.2356 0.5091
S6 0.7584 0.2333 0.9749
S7 0.7584 0.7835 0.5251
S8 0.7735 0.7644 0.0091

=====

2) A relaxed MgCo2S4 crystal. Source: the Materials Project, functional PBE.

Values from the calculation:
Calculated density   3.81 g/cm3
Crystal system   cubic

Cell: 6.9330 6.9330 6.9330 Å, 60.00 60.00 60.00°
Atoms (fractional coordinates):
Mg1 0.1250 0.1250 0.1250
Mg2 0.8750 0.8750 0.8750
Co1 0.0000 0.5000 0.5000
Co2 0.5000 0.0000 0.5000
Co3 0.5000 0.5000 0.0000
Co4 0.5000 0.5000 0.5000
S1 0.2684 0.2684 0.2684
S2 0.2684 0.2684 0.6947
S3 0.2684 0.6947 0.2684
S4 0.3053 0.7316 0.7316
S5 0.6947 0.2684 0.2684
S6 0.7316 0.3053 0.7316
S7 0.7316 0.7316 0.3053
S8 0.7316 0.7316 0.7316

=====

2) comes first in stability; the runner-up is 143 meV/atom higher.

=====

1) A relaxed MgCo4Sb4S4 crystal. Source: the Materials Project, functional PBE.

Values from the calculation:
Calculated density   6.30 g/cm3
Crystal system   trigonal

Cell: 6.1568 6.1568 6.1568 Å, 84.70 84.70 84.70°
Atoms (fractional coordinates):
Mg1 0.0000 0.0000 0.0000
Co1 0.3070 0.8014 0.3228
Co2 0.3228 0.3070 0.8014
Co3 0.7837 0.7837 0.7837
Co4 0.8014 0.3228 0.3070
Sb1 0.2219 0.2219 0.2219
Sb2 0.4119 0.6683 0.9287
Sb3 0.6683 0.9287 0.4119
Sb4 0.9287 0.4119 0.6683
S1 0.1441 0.8720 0.6504
S2 0.4417 0.4417 0.4417
S3 0.6504 0.1441 0.8720
S4 0.8720 0.6504 0.1441

=====

2) A relaxed MgCo4Sb4S4 crystal. Source: the Materials Project, functional PBE.

Values from the calculation:
Calculated density   6.43 g/cm3
Crystal system   trigonal

Cell: 6.0916 6.0916 6.0916 Å, 89.65 89.65 89.65°
Atoms (fractional coordinates):
Mg1 0.0000 0.0000 0.0000
Co1 0.1925 0.7383 0.6744
Co2 0.2343 0.2343 0.2343
Co3 0.6744 0.1925 0.7383
Co4 0.7383 0.6744 0.1925
Sb1 0.0844 0.3822 0.8255
Sb2 0.3822 0.8255 0.0844
Sb3 0.5538 0.5538 0.5538
Sb4 0.8255 0.0844 0.3822
S1 0.0933 0.5905 0.3164
S2 0.3164 0.0933 0.5905
S3 0.5905 0.3163 0.0933
S4 0.7918 0.7918 0.7918

=====

1) comes first in stability; the runner-up is 29 meV/atom higher.

=====

1) A relaxed MgZnCo4S8 crystal. Source: the Materials Project, functional PBE.
=====

## Wanted
Now type out every line above that contains the word "S4".

## Result
S4 0.2553 0.7644 0.4909
S4 0.3053 0.7316 0.7316
S4 0.8720 0.6504 0.1441
S4 0.7918 0.7918 0.7918